You Must Be Mistaken

“The greatest mistake a (wo)man can ever make is to be afraid of making one.” - Elbert Hubbard

I don’t know about you but I hate making mistakes. I work really hard to not make one. I watch what I say or do and even what I think about. Why? Because it starts in your brain before it becomes who you are and then it’s out of your mouth. So I will ask a million questions before I do something. I value the opinions of my elders because they have wisdom in their years. I study hard and am very cautious and careful. I’m trying to learn before the mistake and not after. If that mistake does happen it hurts. It hurts a lot! I have utterly and completely failed. I deserve the punishment. I messed up. Clearly I’m not good enough. Mistakes are for bad people. I mean no one should make a mistake right? Wrong. All of this is wrong. 

God decided to show me my lesson through my own child. She had made a mistake. She slipped up and was now in trouble. However she has her mama’s trait. She was harder on herself than I ever could be. She first fought the fact that she made a mistake. Then she started to beat herself up. How could she be so dumb? How could she not see it coming? How was she here? This mama stopped her immediately. I told her she needed to stop being so hard on herself. Mistakes are how you learn and grow. We need mistakes in order to move up. No one is ever perfect. No one will ever not make a mistake in their lives. It was strange that I was comforting her even though she still had to face the consequences. However, at that moment God asked if I was listening to myself. Pshht. It’s different, I thought. How is it different? I’m an adult. I should know better by now. Should you? I was already making a mistake in this conversation. I was telling God He was wrong. 

Next to the page, the page also holds calculated molecules:
/*
C19H29GeN7OSScSe as an isolated structure. Source: the Open Molecules 2025 dataset; level of theory: ωB97M-V/def2-TZVPD.

Geometry as XYZ:
```
60
Properties=species:S:1:pos:R:3
Se -1.367 -1.119 1.317
Ge -3.322 -2.179 -1.287
Sc 0.069 1.040 0.094
S 0.223 1.747 2.530
O 0.818 2.869 -0.646
N 1.107 0.207 -1.736
N 1.082 5.007 -1.292
N -1.872 1.846 -0.287
N 2.099 -0.234 2.123
N -2.277 6.431 -1.309
N 1.515 0.224 4.253
N 1.825 -0.025 0.810
C 0.297 3.995 -0.937
C -4.392 -3.766 -1.642
C 1.357 0.474 2.950
C 1.622 0.254 -4.061
C 2.426 -0.786 4.794
C 3.937 -1.174 0.345
C -2.901 -0.170 2.036
C 2.673 -0.490 -0.046
C 2.878 -0.267 -3.792
C 3.857 -0.284 4.922
C -2.374 -2.527 0.409
C -1.725 2.974 -0.544
C 3.238 -0.535 -2.481
C -4.507 -0.637 -1.220
C -1.126 4.170 -0.891
C 2.334 -0.277 -1.467
C 0.772 0.477 -2.999
C -1.776 5.407 -1.137
C -1.898 -1.918 -2.599
H 2.078 4.900 -1.218
H 4.232 0.045 3.951
H 1.304 0.481 -5.068
H 4.213 -0.935 -2.243
H -3.960 0.299 -1.114
H -3.485 0.253 1.226
H 1.014 0.819 4.886
H -2.521 0.612 2.680
H -0.226 0.867 -3.160
H -1.189 -1.179 -2.224
H 2.386 -1.653 4.139
H 0.698 5.923 -1.457
H 3.576 -0.461 -4.598
H -5.185 -3.843 -0.895
H 3.922 0.551 5.621
H -2.294 -1.571 -3.556
H -5.220 -0.729 -0.398
H -5.073 -0.607 -2.154
H -3.047 -2.918 1.171
H 4.501 -1.087 5.288
H -4.857 -3.688 -2.628
H 4.084 -2.085 -0.238
H -1.360 -2.854 -2.765
H -1.631 -3.301 0.213
H 4.793 -0.516 0.167
H -3.792 -4.678 -1.613
H 3.904 -1.416 1.400
H 2.033 -1.080 5.766
H -3.486 -0.882 2.609
```

Its frontier orbital gap is 7.375 eV. The electronic energy comes out at -186048.431 eV. The energy above the lowest of the compared OMol25 structures with the same formula, charge and spin is 0.00 kJ/mol. As for the net charge: +1.

----------

DFT (ωB97M-V/def2-TZVPD) results for a single C2H4N2 molecule.

* highest occupied orbital energy: -9.9 eV
* charge: 0
* maximum force: 1.8 eV Å⁻¹
* energy relative to the best compared isomer or geometry (same formula, charge and spin): 342.86 kJ/mol
* SMILES: C1[C@@H]2NN12
* LUMO level: 1.128 eV

Last column: Löwdin charge in e.
Geometry (Å):
C1 0.472 -0.190 0.740  -0.034
C2 -0.773 0.032 -0.010  -0.345
N1 -0.253 0.243 -1.320  -0.001
N2 0.173 1.070 -0.215  0.008
H1 0.521 0.066 1.786  0.085
H2 1.210 -0.880 0.357  0.083
H3 -1.805 0.098 0.266  0.120
H4 0.456 -0.440 -1.605  0.084
*/

Mistakes happen until we die. We don’t get to a stage or moment in life where we receive the degree of perfection.

Fighting against mistakes will only leave you exhausted. Doing our best is great. But we need to loosen up on the no mistake policy. We need to embrace that it’s not the end of the world. Retraining my brain to accept this would be an amazing thing for me mentally and emotionally. Imagine someone giving a two year old a marker to only color within the lines. That’s the same as telling anyone to live a life with no mistakes. Not going to happen. We need to give both the same freedom. 

Failing forward is such an amazing phrase. That positive spin takes away the bad taste ‘mistake’ leaves in your mouth. Honestly, we should start going around saying “Ugh! I just failed forward!”. Even the ugh doesn’t fit. Because that beautiful positive connotation makes it a good thing. Which it is. At the moment it sucks and feels like it’s over. But flip it upside down and celebrate the fact that you now know what not to do. 

Some mistakes lead you to beautiful destinies. Some push you to a better level. Some show you where to never go again, giving you a better personal compass. Some teach you something you can share with others. God will always take our mistakes and turn it for our good for those whose purposes are in him. That alone should give us comfort. 


Not For the Joneses


You are Enough